Summer School “Ocean & Energy”
24 June – 4 July 2024
EIGSI Summer School is a great opportunity to learn more about the ocean and natural resources.
You will get the chance to combine high-quality, hands-on courses with outdoor activities while also experiencing the closeness of the ocean.
Summer School Programme Coordinator
Rose Campbell, summer school coordinator, is a researcher in the field of marine sciences.
Her research interests include numerical modeling, optimization, oceanography, and software development.
She holds a PhD and Masters in Oceanography from Aix-Marseille University (France), and a BSc of Science/Mathematics from the University of Ottawa (Canada). She currently teaches at EIGSI Engineering School in La Rochelle, France.
A team of international lecturers will join us in La Rochelle for the Summer School.
Qui peut participer ?
Les étudiants ayant au moins deux années d’études post-secondaire en sciences ou en ingénierie.
1. Inscription
Dépôt des candidatures à la Summer Shcool de l’EIGSI, en écrivant à :
D’octobre 2023 au 29 mars 2024
2. Validation par l’EIGSI
15 Avril 2024
Next to the piece, the page also holds crystal structures
-- begin --
This entry pairs a crystal structure of CuAg10Pb3O12 with its simulated powder diffractogram. Radiation: Cu Kα (λ = 1.5418 Å). Structure: a DFT-relaxed cell (GGA-PBE, Alexandria).
Intensities are scaled so that the largest is 100.

Main lines, by intensity (5 to 70 degrees two-theta):
d [Å]	two_theta	Rel. int.
2.733	32.77	100.0
2.380	37.80	77.0
2.688	33.33	66.2
2.956	30.23	41.0
1.741	52.57	35.4
2.560	35.05	32.3
1.649	55.76	29.5
1.661	55.30	29.1
3.231	27.60	15.9
1.659	55.40	15.2

Cell and atoms:
abc: 8.7600 8.7600 5.9028
angles: 109.64 109.64 71.67
Fractional positions:
1 Cu 0.0000 0.0000 0.0000
2 Ag 0.0790 0.4149 0.2441
3 Ag 0.1924 0.5406 0.8730
4 Ag 0.3264 0.1665 0.9915
5 Ag 0.3283 0.1632 0.4885
6 Ag 0.4594 0.8076 0.1270
7 Ag 0.5851 0.9210 0.7559
8 Ag 0.6996 0.0252 0.3598
9 Ag 0.8335 0.6736 0.0085
10 Ag 0.8368 0.6717 0.5115
11 Ag 0.9748 0.3004 0.6402
12 Pb 0.1519 0.8481 0.5000
13 Pb 0.4961 0.5039 0.5000
14 Pb 0.6778 0.3222 0.0000
15 O 0.0435 0.7750 0.0877
16 O 0.1050 0.0777 0.3775
17 O 0.2250 0.9565 0.9123
18 O 0.2306 0.5763 0.5227
19 O 0.4237 0.7694 0.4773
20 O 0.4282 0.3810 0.0882
21 O 0.5467 0.2587 0.5894
22 O 0.6190 0.5718 0.9118
23 O 0.7413 0.4533 0.4106
24 O 0.7541 0.0624 0.0320
25 O 0.9223 0.8950 0.6225
26 O 0.9376 0.2459 0.9680


This entry pairs a crystal structure of Hf2ScS5 with its simulated powder diffractogram. Radiation: Cu Kα (λ = 1.5418 Å). Structure: a DFT-relaxed cell (GGA-PBE, Alexandria).
Intensities are scaled so that the largest is 100.

Main lines, by intensity (5 to 70 degrees two-theta):
d [Å]	two_theta	Rel. int.
6.169	14.36	100.0
2.558	35.08	45.6
6.734	13.15	29.6
3.158	28.26	25.8
1.969	46.10	23.1
2.381	37.78	15.2
2.221	40.61	14.8
2.245	40.17	13.9
2.037	44.48	13.2
2.110	42.87	12.8

Cell and atoms:
abc: 9.1330 7.1430 6.6128
angles: 83.11 50.94 45.96
Fractional positions:
1 Hf 0.1828 0.1828 0.8172
2 Hf 0.8172 0.8172 0.1828
3 Sc 0.5000 0.5000 0.5000
4 S 0.0000 0.0000 0.0000
5 S 0.2127 0.4588 0.5412
6 S 0.4588 0.2127 0.7873
7 S 0.5412 0.7873 0.2127
8 S 0.7873 0.5412 0.4588


This entry pairs a crystal structure of Pr2SmGa4 with its simulated powder diffractogram. Radiation: Cu Kα (λ = 1.5418 Å). Structure: a DFT-relaxed cell (GGA-PBE, Alexandria).
Intensities are scaled so that the largest is 100.

Main lines, by intensity (5 to 70 degrees two-theta):
d [Å]	two_theta	Rel. int.
2.896	30.88	100.0
2.865	31.22	57.3
2.191	41.20	42.1
2.559	35.07	29.8
2.277	39.58	29.2
2.112	42.82	24.5
1.700	53.94	24.3
3.510	25.38	21.4
1.579	58.44	18.9
1.521	60.91	17.0

Cell and atoms:
abc: 9.9392 9.9392 9.9392
angles: 155.46 154.52 35.67
Fractional positions:
1 Pr 0.1839 0.1839 0.0000
2 Pr 0.8161 0.8161 0.0000
3 Sm 0.0000 0.5000 0.5000
4 Ga 0.3601 0.3601 0.0000
5 Ga 0.4352 0.9352 0.5000
6 Ga 0.5648 0.0648 0.5000
7 Ga 0.6399 0.6399 0.0000


This entry pairs a crystal structure of Pr4Al12Rh with its simulated powder diffractogram. Radiation: Cu Kα (λ = 1.5418 Å). Structure: a DFT-relaxed cell (GGA-PBE, Alexandria).
-- stop --
3. Frais de participation
Étudiants d’universités partenaires : 700€
Étudiants d’universités non partenaires : 2 000€
Inclus : Cours, hébergement (au sein de la résidence de l’EIGSI, idéalement situé à 100m de l’école), dîner d’accueil, activités, visites.
Non inclus : Déplacements aller et retour à La Rochelle, repas.
4. Summer School
24 Juin – 4 Juillet 2024
Course details
Module 1 : Ocean, Atmosphere & Climate
This course will give students a foundation to understand the sources of marine energies. The impacts of climate change on these resources will be discussed. Students will observe tidal dynamics at the nearby beach.
Module 2 : Natural Resources & the Blue Economy
In this course, students will review the interaction between humankind and the ocean, with a focus on the extraction of resources. Discussion of how climateresilient solutions can be used to reduce human impacts. An overview of maritime transportation systems will be contextualized by a site visit to the commercial harbour of La Rochelle.
Module 3 : Mapping the Potential for Marine Renewable Energy
Students will collect information about currents and/or winds over a given geographic area over a period of time from European open data bases. This labbased course uses GIS software (QGIS).
Module 4 : Design Challenge
Students will divide into small groups to face this design challenge. Learners will be given a short brief and a set of materials. The final result will be built and put to test at the nearby beach during a final competition.
A variety of social and cultural activities will complement the academic programme.